Request.
Could you type out all of the listing below unchanged?

Listing.
~~~
Entry 1:
A molecular structure, C13H6IOS4Y. Source: the OMol25 dataset; level of theory: ωB97M-V with the def2-TZVPD basis set.

The geometry in ORCA input format:
```
! wB97M-V def2-TZVPD RIJCOSX def2/J DEFGRID3
* xyz 0 1
Y -0.38 -0.81 -2.51
I 2.73 -1.00 -2.24
C 2.67 -0.97 -0.14
C 3.85 -1.00 0.53
C 3.84 -0.96 1.94
C 2.65 -0.89 2.60
C 1.42 -0.87 1.91
C 0.18 -0.80 2.60
C -0.99 -0.78 1.92
C -0.98 -0.84 0.50
C 0.18 -0.90 -0.25
C 1.40 -0.92 0.49
H 4.79 -1.04 0.00
H 4.78 -0.98 2.48
H 2.63 -0.86 3.69
H 0.20 -0.76 3.68
H -1.94 -0.72 2.45
H -1.96 -0.82 0.01
O -5.10 4.03 -1.75
C -4.29 3.19 -2.03
S -2.56 3.52 -2.29
C -2.08 1.87 -2.62
C -3.05 0.93 -2.60
S -2.92 -0.78 -3.02
S -4.68 1.48 -2.26
S -0.38 1.68 -3.09
*
```

Its molecular weight is 522.27 g mol⁻¹. For the relative energy (zero: lowest compared OMol25 entry of this formula, charge and spin), the calculation gives 1.0 kcal/mol. The value obtained for the gap between HOMO and LUMO is 0.2304 Ha.

Here are the Löwdin charges for atoms 1 to 5, given in e:
1 Y 0.87
2 I 1.01
3 C -0.61
4 C -0.15
5 C -0.07

Entry 2:
3 unconnected molecules or ions with the total composition C29H55F5O10P3S in a non-equilibrium geometry. Source: the OMol25 dataset; level of theory: ωB97M-V with the def2-TZVPD basis set.

The geometry in ORCA input format:
```
! wB97M-V def2-TZVPD RIJCOSX def2/J DEFGRID3
* xyz -1 1
C -1.23 1.77 3.92
C -2.58 2.49 3.92
C -3.19 2.62 2.52
C -3.34 1.29 1.78
C -4.48 0.41 2.33
C -4.09 -1.03 2.67
C -3.36 -1.77 1.55
C -2.52 -2.95 2.06
C -1.31 -2.56 2.93
C 0.01 -2.61 2.18
C 0.05 -1.65 0.99
C 1.48 -1.38 0.49
P 1.97 -1.26 -1.37
C 3.65 -2.10 -1.01
C 4.49 -1.50 0.14
C 4.83 -2.55 1.19
S 6.05 -2.00 2.43
C 2.84 0.51 -1.27
C 2.49 1.62 -2.24
C 3.27 2.91 -1.92
C 2.57 3.70 -0.84
O 1.58 4.34 -1.01
O 3.15 3.68 0.39
P -0.15 -0.34 -1.79
C -0.34 0.35 -3.47
C -0.37 1.14 -0.68
P 2.67 -1.33 -3.75
O 1.69 -1.68 -5.07
O 4.03 -0.47 -4.30
C 1.23 -3.22 -1.70
F 1.19 -3.85 -0.47
F 2.12 -3.96 -2.42
C -0.15 -3.58 -2.36
F -1.15 -3.59 -1.45
F -0.12 -4.83 -2.89
F -0.48 -2.74 -3.35
H -0.65 2.02 3.02
H -1.34 0.68 3.92
H -0.63 2.04 4.79
H -2.44 3.49 4.33
H -3.28 1.96 4.58
H -4.18 3.09 2.61
H -2.57 3.30 1.93
H -3.53 1.51 0.73
H -2.39 0.75 1.81
H -4.89 0.89 3.23
H -5.30 0.39 1.60
H -5.01 -1.59 2.87
H -3.52 -1.04 3.60
H -2.73 -1.11 0.96
H -4.11 -2.20 0.88
H -3.17 -3.65 2.58
H -2.13 -3.48 1.18
H -1.44 -1.53 3.30
H -1.27 -3.20 3.82
H 0.83 -2.35 2.87
H 0.20 -3.64 1.83
H -0.40 -0.71 1.35
H -0.60 -2.02 0.20
H 1.82 -0.46 0.98
H 2.09 -2.17 0.92
H 4.25 -2.14 -1.92
H 3.46 -3.15 -0.77
H 4.02 -0.66 0.64
H 5.44 -1.12 -0.25
H 3.94 -2.84 1.74
H 5.27 -3.44 0.74
H 5.18 -1.28 3.15
H 2.78 0.91 -0.25
H 3.92 0.33 -1.44
H 1.44 1.89 -2.22
H 2.74 1.34 -3.26
H 4.28 2.66 -1.60
H 3.31 3.56 -2.80
H 3.64 2.86 0.49
H -0.88 1.30 -3.39
H -0.93 -0.33 -4.09
H 0.62 0.55 -3.97
H -1.37 1.11 -0.26
H 0.34 1.10 0.15
H -0.23 2.09 -1.19
H 1.43 -0.91 -5.60
H 3.82 0.20 -4.97
C -6.64 -4.25 -1.15
C -7.76 -5.05 -0.50
O -7.32 -5.15 0.86
C -6.46 -4.13 1.11
O -6.04 -3.84 2.18
O -6.15 -3.48 -0.04
H -6.97 -3.58 -1.93
H -5.83 -4.88 -1.51
H -8.71 -4.51 -0.52
H -7.89 -6.04 -0.92
C 3.35 7.97 -1.00
C 3.83 6.66 -1.61
O 4.99 7.09 -2.34
C 5.45 8.23 -1.79
O 6.49 8.75 -2.06
O 4.56 8.72 -0.89
H 2.89 7.85 -0.02
H 2.67 8.51 -1.66
H 4.13 5.95 -0.85
H 3.11 6.20 -2.28
*
```

Its molecular weight is 783.73 g mol⁻¹. The value obtained for the gap between HOMO and LUMO is 0.1749 Ha.

Here are the Löwdin charges for atoms 1 to 5, given in e:
1 C -0.10
2 C -0.26
3 C -0.23
4 C -0.22
5 C -0.19

Entry 3:
A molecular structure, C17H29Br2FIO7P in a non-equilibrium geometry. Source: the OMol25 dataset; level of theory: ωB97M-V with the def2-TZVPD basis set.

The geometry in ORCA input format:
```
! wB97M-V def2-TZVPD RIJCOSX def2/J DEFGRID3
* xyz 0 1
C -2.36 4.58 -0.77
C -0.93 5.02 -0.09
O -0.36 4.05 0.85
P 0.51 2.78 0.02
O -0.61 1.70 -0.41
C 1.71 1.94 1.30
C 1.19 0.36 1.37
C 2.15 -0.61 2.28
C 2.29 -2.09 1.52
C 3.58 -2.83 2.29
C 3.14 -3.31 3.82
O 3.97 -4.07 4.54
O 1.02 -2.79 1.78
C 0.55 -3.57 0.63
~~~

Response.
Entry 1:
A molecular structure, C13H6IOS4Y. Source: the OMol25 dataset; level of theory: ωB97M-V with the def2-TZVPD basis set.

The geometry in ORCA input format:
```
! wB97M-V def2-TZVPD RIJCOSX def2/J DEFGRID3
* xyz 0 1
Y -0.38 -0.81 -2.51
I 2.73 -1.00 -2.24
C 2.67 -0.97 -0.14
C 3.85 -1.00 0.53
C 3.84 -0.96 1.94
C 2.65 -0.89 2.60
C 1.42 -0.87 1.91
C 0.18 -0.80 2.60
C -0.99 -0.78 1.92
C -0.98 -0.84 0.50
C 0.18 -0.90 -0.25
C 1.40 -0.92 0.49
H 4.79 -1.04 0.00
H 4.78 -0.98 2.48
H 2.63 -0.86 3.69
H 0.20 -0.76 3.68
H -1.94 -0.72 2.45
H -1.96 -0.82 0.01
O -5.10 4.03 -1.75
C -4.29 3.19 -2.03
S -2.56 3.52 -2.29
C -2.08 1.87 -2.62
C -3.05 0.93 -2.60
S -2.92 -0.78 -3.02
S -4.68 1.48 -2.26
S -0.38 1.68 -3.09
*
```

Its molecular weight is 522.27 g mol⁻¹. For the relative energy (zero: lowest compared OMol25 entry of this formula, charge and spin), the calculation gives 1.0 kcal/mol. The value obtained for the gap between HOMO and LUMO is 0.2304 Ha.

Here are the Löwdin charges for atoms 1 to 5, given in e:
1 Y 0.87
2 I 1.01
3 C -0.61
4 C -0.15
5 C -0.07

Entry 2:
3 unconnected molecules or ions with the total composition C29H55F5O10P3S in a non-equilibrium geometry. Source: the OMol25 dataset; level of theory: ωB97M-V with the def2-TZVPD basis set.

The geometry in ORCA input format:
```
! wB97M-V def2-TZVPD RIJCOSX def2/J DEFGRID3
* xyz -1 1
C -1.23 1.77 3.92
C -2.58 2.49 3.92
C -3.19 2.62 2.52
C -3.34 1.29 1.78
C -4.48 0.41 2.33
C -4.09 -1.03 2.67
C -3.36 -1.77 1.55
C -2.52 -2.95 2.06
C -1.31 -2.56 2.93
C 0.01 -2.61 2.18
C 0.05 -1.65 0.99
C 1.48 -1.38 0.49
P 1.97 -1.26 -1.37
C 3.65 -2.10 -1.01
C 4.49 -1.50 0.14
C 4.83 -2.55 1.19
S 6.05 -2.00 2.43
C 2.84 0.51 -1.27
C 2.49 1.62 -2.24
C 3.27 2.91 -1.92
C 2.57 3.70 -0.84
O 1.58 4.34 -1.01
O 3.15 3.68 0.39
P -0.15 -0.34 -1.79
C -0.34 0.35 -3.47
C -0.37 1.14 -0.68
P 2.67 -1.33 -3.75
O 1.69 -1.68 -5.07
O 4.03 -0.47 -4.30
C 1.23 -3.22 -1.70
F 1.19 -3.85 -0.47
F 2.12 -3.96 -2.42
C -0.15 -3.58 -2.36
F -1.15 -3.59 -1.45
F -0.12 -4.83 -2.89
F -0.48 -2.74 -3.35
H -0.65 2.02 3.02
H -1.34 0.68 3.92
H -0.63 2.04 4.79
H -2.44 3.49 4.33
H -3.28 1.96 4.58
H -4.18 3.09 2.61
H -2.57 3.30 1.93
H -3.53 1.51 0.73
H -2.39 0.75 1.81
H -4.89 0.89 3.23
H -5.30 0.39 1.60
H -5.01 -1.59 2.87
H -3.52 -1.04 3.60
H -2.73 -1.11 0.96
H -4.11 -2.20 0.88
H -3.17 -3.65 2.58
H -2.13 -3.48 1.18
H -1.44 -1.53 3.30
H -1.27 -3.20 3.82
H 0.83 -2.35 2.87
H 0.20 -3.64 1.83
H -0.40 -0.71 1.35
H -0.60 -2.02 0.20
H 1.82 -0.46 0.98
H 2.09 -2.17 0.92
H 4.25 -2.14 -1.92
H 3.46 -3.15 -0.77
H 4.02 -0.66 0.64
H 5.44 -1.12 -0.25
H 3.94 -2.84 1.74
H 5.27 -3.44 0.74
H 5.18 -1.28 3.15
H 2.78 0.91 -0.25
H 3.92 0.33 -1.44
H 1.44 1.89 -2.22
H 2.74 1.34 -3.26
H 4.28 2.66 -1.60
H 3.31 3.56 -2.80
H 3.64 2.86 0.49
H -0.88 1.30 -3.39
H -0.93 -0.33 -4.09
H 0.62 0.55 -3.97
H -1.37 1.11 -0.26
H 0.34 1.10 0.15
H -0.23 2.09 -1.19
H 1.43 -0.91 -5.60
H 3.82 0.20 -4.97
C -6.64 -4.25 -1.15
C -7.76 -5.05 -0.50
O -7.32 -5.15 0.86
C -6.46 -4.13 1.11
O -6.04 -3.84 2.18
O -6.15 -3.48 -0.04
H -6.97 -3.58 -1.93
H -5.83 -4.88 -1.51
H -8.71 -4.51 -0.52
H -7.89 -6.04 -0.92
C 3.35 7.97 -1.00
C 3.83 6.66 -1.61
O 4.99 7.09 -2.34
C 5.45 8.23 -1.79
O 6.49 8.75 -2.06
O 4.56 8.72 -0.89
H 2.89 7.85 -0.02
H 2.67 8.51 -1.66
H 4.13 5.95 -0.85
H 3.11 6.20 -2.28
*
```

Its molecular weight is 783.73 g mol⁻¹. The value obtained for the gap between HOMO and LUMO is 0.1749 Ha.

Here are the Löwdin charges for atoms 1 to 5, given in e:
1 C -0.10
2 C -0.26
3 C -0.23
4 C -0.22
5 C -0.19

Entry 3:
A molecular structure, C17H29Br2FIO7P in a non-equilibrium geometry. Source: the OMol25 dataset; level of theory: ωB97M-V with the def2-TZVPD basis set.

The geometry in ORCA input format:
```
! wB97M-V def2-TZVPD RIJCOSX def2/J DEFGRID3
* xyz 0 1
C -2.36 4.58 -0.77
C -0.93 5.02 -0.09
O -0.36 4.05 0.85
P 0.51 2.78 0.02
O -0.61 1.70 -0.41
C 1.71 1.94 1.30
C 1.19 0.36 1.37
C 2.15 -0.61 2.28
C 2.29 -2.09 1.52
C 3.58 -2.83 2.29
C 3.14 -3.31 3.82
O 3.97 -4.07 4.54
O 1.02 -2.79 1.78
C 0.55 -3.57 0.63